### Job
What is needed: print everything further down word for word.

### Source
........
No. 1
A geometry-optimized LiErTl2 structure, computed with GGA-PBE.

Unit cell a=5.1813 b=5.1813 c=5.1813 alpha=60.00 beta=60.00 gamma=60.00
Closest atoms and distances in Å follow each position.
Sites, in units of the cell vectors:
Tl: 0.7500 0.7500 0.7500  4 Li 3.17, 4 Er 3.17
Tl: 0.2500 0.2500 0.2500  4 Er 3.17, 4 Li 3.17
Er: 0.5000 0.5000 0.5000  8 Tl 3.17
Li: 0.0000 0.0000 0.0000  8 Tl 3.17

Summary:
The value obtained for the formation energy is -118 kJ/mol of formula units.

=====

No. 2
A geometry-optimized SiO2 structure, computed with GGA-PBE.

Unit cell a=13.0976 b=11.2894 c=9.4296 alpha=93.32 beta=106.51 gamma=103.52
Closest atoms and distances in Å follow each position.
Sites, in units of the cell vectors:
Si: 0.5234 0.6012 0.7017  4 O 1.62-1.63
Si: 0.7325 0.4895 0.7719  4 O 1.62-1.63
Si: 0.1234 0.4178 0.4274  4 O 1.62-1.63
Si: 0.2594 0.5432 0.9107  4 O 1.62-1.63
Si: 0.3255 0.8633 0.6605  4 O 1.62-1.63
Si: 0.5900 0.8444 0.2655  4 O 1.62-1.63
Si: 0.6820 0.6082 0.3147  4 O 1.61-1.63
Si: 0.6723 0.1221 0.3407  4 O 1.62-1.63
Si: 0.8742 0.3400 0.3634  4 O 1.62-1.63
Si: 0.4632 0.7587 0.9314  4 O 1.62-1.63
Si: 0.1237 0.6454 0.6378  4 O 1.62-1.63
Si: 0.3158 0.3772 0.6865  4 O 1.61-1.63
Si: 0.4744 0.3842 0.2995  4 O 1.62-1.63
Si: 0.5346 0.2267 0.0698  4 O 1.62-1.63
Si: 0.8744 0.5676 0.5738  4 O 1.62-1.63
Si: 0.4212 0.7379 0.4365  4 O 1.62-1.64
Si: 0.5766 0.2475 0.5647  4 O 1.62-1.64
Si: 0.4079 0.1410 0.7357  4 O 1.62-1.63
Si: 0.7384 0.4423 0.0905  4 O 1.62-1.63
Si: 0.2653 0.4959 0.2293  4 O 1.62-1.63
O: 0.8341 0.3961 0.2074  2 Si 1.63
O: 0.6574 0.7406 0.2956  2 Si 1.61-1.62
O: 0.3198 0.6339 0.3199  2 Si 1.63
O: 0.7968 0.2042 0.3607  2 Si 1.62-1.63
O: 0.1296 0.5544 0.5016  2 Si 1.63
O: 0.7106 0.5579 0.1691  2 Si 1.63
O: 0.7783 0.4852 0.9501  2 Si 1.62
O: 0.3572 0.4177 0.2697  2 Si 1.62-1.63
O: 0.8682 0.4310 0.4996  2 Si 1.63
O: 0.4666 0.2976 0.1503  2 Si 1.63
O: 0.6406 0.5677 0.7315  2 Si 1.62-1.63
O: 0.5421 0.8435 0.0856  2 Si 1.62-1.63
O: 0.4958 0.3107 0.4446  2 Si 1.63-1.64
O: 0.1637 0.5894 0.7938  2 Si 1.63
O: 0.3239 0.0067 0.6636  2 Si 1.62-1.63
O: 0.1574 0.4297 0.2753  2 Si 1.62
O: 0.9993 0.3292 0.3889  2 Si 1.62
O: 0.3404 0.2449 0.7056  2 Si 1.61-1.62
O: 0.5898 0.1400 0.1827  2 Si 1.62-1.63
O: 0.4080 0.8454 0.8185  2 Si 1.62-1.63
O: 0.2195 0.5002 0.0511  2 Si 1.62
O: 0.2090 0.3570 0.5403  2 Si 1.62
O: 0.9985 0.6562 0.6123  2 Si 1.62
O: 0.6739 0.9787 0.3375  2 Si 1.62-1.63
O: 0.5060 0.1657 0.6580  2 Si 1.62-1.63
O: 0.5312 0.6878 0.8509  2 Si 1.63
O: 0.3701 0.6564 0.9735  2 Si 1.63
O: 0.5755 0.5088 0.3333  2 Si 1.63
O: 0.3691 0.8248 0.5236  2 Si 1.63
O: 0.2871 0.4275 0.8321  2 Si 1.63
O: 0.5020 0.6747 0.5566  2 Si 1.63-1.64
O: 0.4223 0.4767 0.6679  2 Si 1.63
O: 0.6277 0.3290 0.0277  2 Si 1.63
O: 0.7888 0.6284 0.4609  2 Si 1.62
O: 0.2011 0.7812 0.6405  2 Si 1.62-1.63
O: 0.6780 0.3515 0.6813  2 Si 1.63
O: 0.4557 0.1419 0.9156  2 Si 1.62-1.63
O: 0.4918 0.8197 0.3432  2 Si 1.62-1.63
O: 0.6288 0.1607 0.4776  2 Si 1.63
O: 0.8404 0.5558 0.7259  2 Si 1.62

Summary:
The value obtained for the formation energy is -940 kJ/mol of formula units.

=====

No. 3
A geometry-optimized Ho2TiO5 structure, computed with GGA-PBE.

Unit cell a=7.4109 b=7.4109 c=17.7762 alpha=89.47 beta=89.47 gamma=58.75
Closest atoms and distances in Å follow each position.
Sites, in units of the cell vectors:
O: 0.7879 0.3343 0.3171  1 Ti 1.85
O: 0.8445 0.8445 0.5593  1 Ti 2.02
O: 0.9640 0.5114 0.6541  1 Ti 1.87
O: 0.1342 0.6986 0.2096  3 Ho 2.23-2.33, 1 Ti 2.24
O: 0.6073 0.1815 0.9567  1 Ti 1.87
O: 0.6786 0.6786 0.2048  4 Ho 2.13-2.28
O: 0.8763 0.5083 0.9061  2 Ti 1.85-1.98
O: 0.8869 0.8869 0.3261  2 Ti 1.86
O: 0.7249 0.1313 0.6934  1 Ti 1.93
O: 0.0530 0.4809 0.1028  1 Ti 1.85
O: 0.3565 0.8550 0.7722  1 Ti 1.94
O: 0.3343 0.7879 0.3171  1 Ti 1.85
O: 0.6986 0.1342 0.2096  3 Ho 2.23-2.33, 1 Ti 2.24
O: 0.4809 0.0530 0.1028  1 Ti 1.85
O: 0.3280 0.3280 0.7947  4 Ho 2.18-2.32
O: 0.8550 0.3565 0.7722  1 Ti 1.94
O: 0.0028 0.0028 0.8718  4 Ho 2.13-2.23
........

### Here it is
No. 1
A geometry-optimized LiErTl2 structure, computed with GGA-PBE.

Unit cell a=5.1813 b=5.1813 c=5.1813 alpha=60.00 beta=60.00 gamma=60.00
Closest atoms and distances in Å follow each position.
Sites, in units of the cell vectors:
Tl: 0.7500 0.7500 0.7500  4 Li 3.17, 4 Er 3.17
Tl: 0.2500 0.2500 0.2500  4 Er 3.17, 4 Li 3.17
Er: 0.5000 0.5000 0.5000  8 Tl 3.17
Li: 0.0000 0.0000 0.0000  8 Tl 3.17

Summary:
The value obtained for the formation energy is -118 kJ/mol of formula units.

=====

No. 2
A geometry-optimized SiO2 structure, computed with GGA-PBE.

Unit cell a=13.0976 b=11.2894 c=9.4296 alpha=93.32 beta=106.51 gamma=103.52
Closest atoms and distances in Å follow each position.
Sites, in units of the cell vectors:
Si: 0.5234 0.6012 0.7017  4 O 1.62-1.63
Si: 0.7325 0.4895 0.7719  4 O 1.62-1.63
Si: 0.1234 0.4178 0.4274  4 O 1.62-1.63
Si: 0.2594 0.5432 0.9107  4 O 1.62-1.63
Si: 0.3255 0.8633 0.6605  4 O 1.62-1.63
Si: 0.5900 0.8444 0.2655  4 O 1.62-1.63
Si: 0.6820 0.6082 0.3147  4 O 1.61-1.63
Si: 0.6723 0.1221 0.3407  4 O 1.62-1.63
Si: 0.8742 0.3400 0.3634  4 O 1.62-1.63
Si: 0.4632 0.7587 0.9314  4 O 1.62-1.63
Si: 0.1237 0.6454 0.6378  4 O 1.62-1.63
Si: 0.3158 0.3772 0.6865  4 O 1.61-1.63
Si: 0.4744 0.3842 0.2995  4 O 1.62-1.63
Si: 0.5346 0.2267 0.0698  4 O 1.62-1.63
Si: 0.8744 0.5676 0.5738  4 O 1.62-1.63
Si: 0.4212 0.7379 0.4365  4 O 1.62-1.64
Si: 0.5766 0.2475 0.5647  4 O 1.62-1.64
Si: 0.4079 0.1410 0.7357  4 O 1.62-1.63
Si: 0.7384 0.4423 0.0905  4 O 1.62-1.63
Si: 0.2653 0.4959 0.2293  4 O 1.62-1.63
O: 0.8341 0.3961 0.2074  2 Si 1.63
O: 0.6574 0.7406 0.2956  2 Si 1.61-1.62
O: 0.3198 0.6339 0.3199  2 Si 1.63
O: 0.7968 0.2042 0.3607  2 Si 1.62-1.63
O: 0.1296 0.5544 0.5016  2 Si 1.63
O: 0.7106 0.5579 0.1691  2 Si 1.63
O: 0.7783 0.4852 0.9501  2 Si 1.62
O: 0.3572 0.4177 0.2697  2 Si 1.62-1.63
O: 0.8682 0.4310 0.4996  2 Si 1.63
O: 0.4666 0.2976 0.1503  2 Si 1.63
O: 0.6406 0.5677 0.7315  2 Si 1.62-1.63
O: 0.5421 0.8435 0.0856  2 Si 1.62-1.63
O: 0.4958 0.3107 0.4446  2 Si 1.63-1.64
O: 0.1637 0.5894 0.7938  2 Si 1.63
O: 0.3239 0.0067 0.6636  2 Si 1.62-1.63
O: 0.1574 0.4297 0.2753  2 Si 1.62
O: 0.9993 0.3292 0.3889  2 Si 1.62
O: 0.3404 0.2449 0.7056  2 Si 1.61-1.62
O: 0.5898 0.1400 0.1827  2 Si 1.62-1.63
O: 0.4080 0.8454 0.8185  2 Si 1.62-1.63
O: 0.2195 0.5002 0.0511  2 Si 1.62
O: 0.2090 0.3570 0.5403  2 Si 1.62
O: 0.9985 0.6562 0.6123  2 Si 1.62
O: 0.6739 0.9787 0.3375  2 Si 1.62-1.63
O: 0.5060 0.1657 0.6580  2 Si 1.62-1.63
O: 0.5312 0.6878 0.8509  2 Si 1.63
O: 0.3701 0.6564 0.9735  2 Si 1.63
O: 0.5755 0.5088 0.3333  2 Si 1.63
O: 0.3691 0.8248 0.5236  2 Si 1.63
O: 0.2871 0.4275 0.8321  2 Si 1.63
O: 0.5020 0.6747 0.5566  2 Si 1.63-1.64
O: 0.4223 0.4767 0.6679  2 Si 1.63
O: 0.6277 0.3290 0.0277  2 Si 1.63
O: 0.7888 0.6284 0.4609  2 Si 1.62
O: 0.2011 0.7812 0.6405  2 Si 1.62-1.63
O: 0.6780 0.3515 0.6813  2 Si 1.63
O: 0.4557 0.1419 0.9156  2 Si 1.62-1.63
O: 0.4918 0.8197 0.3432  2 Si 1.62-1.63
O: 0.6288 0.1607 0.4776  2 Si 1.63
O: 0.8404 0.5558 0.7259  2 Si 1.62

Summary:
The value obtained for the formation energy is -940 kJ/mol of formula units.

=====

No. 3
A geometry-optimized Ho2TiO5 structure, computed with GGA-PBE.

Unit cell a=7.4109 b=7.4109 c=17.7762 alpha=89.47 beta=89.47 gamma=58.75
Closest atoms and distances in Å follow each position.
Sites, in units of the cell vectors:
O: 0.7879 0.3343 0.3171  1 Ti 1.85
O: 0.8445 0.8445 0.5593  1 Ti 2.02
O: 0.9640 0.5114 0.6541  1 Ti 1.87
O: 0.1342 0.6986 0.2096  3 Ho 2.23-2.33, 1 Ti 2.24
O: 0.6073 0.1815 0.9567  1 Ti 1.87
O: 0.6786 0.6786 0.2048  4 Ho 2.13-2.28
O: 0.8763 0.5083 0.9061  2 Ti 1.85-1.98
O: 0.8869 0.8869 0.3261  2 Ti 1.86
O: 0.7249 0.1313 0.6934  1 Ti 1.93
O: 0.0530 0.4809 0.1028  1 Ti 1.85
O: 0.3565 0.8550 0.7722  1 Ti 1.94
O: 0.3343 0.7879 0.3171  1 Ti 1.85
O: 0.6986 0.1342 0.2096  3 Ho 2.23-2.33, 1 Ti 2.24
O: 0.4809 0.0530 0.1028  1 Ti 1.85
O: 0.3280 0.3280 0.7947  4 Ho 2.18-2.32
O: 0.8550 0.3565 0.7722  1 Ti 1.94
O: 0.0028 0.0028 0.8718  4 Ho 2.13-2.23